DANIEL F. MUSTARD, The president of the Citizens Bank of Anderson, Daniel F. Mustard, is an old-time resident of Madison County, having lived within the boundaries of this civil division of Indiana all of his life, He belongs to a family whose name has been borne with honor and usefulness in this County for practically all the years since the pioneer epoch, and his own career has been one of exceptional service, beginning with the time of his part in the Civil war as a soldier of the Union and continuing with distinguished positions in the public affairs of the County and with over thirty years of active connection with banking in Anderson.
Daniel F. Mustard Was born in Lafayette Township, Madison County, on the 20th of October, 1844, In 1850 his father, William Mustard, who was an early settler of this County, moved from Fayette Township to Anderson. Daniel, or Dan, as he is more familiarly known among his friends and associates, entered the public schools of tbis city and there remained, working at intervals in his father’s shoe shop, learning the shoemaker’s trade, until he reached the age of seventeen, He was a good student, and also diligently applied himself to acquiring a trade as a basis for his subsequent work in life, soon becoming an expert and skilled workman.
When the Civil war came on he was sixteen years old. About two years went by, and then his patriotic enthusiasm would no longer allow him to stay at home, and 0n the 6th of April, 1863, he enlisted in the Thirty-fourth Indiana Infantry as a private in Company I. After about fifteen months of service he was detached, and until the close of the rebellion was a musician in the regimental band. He was with his command during the memorable siege of Vicksburg in the summer of 1863 until the very last battle of the war at Palmetto Ranch in Texas, a small skirmish fought on the 13th of May, 1865, fully a month after the surrender of Lee to Grant at Appomattox, Owing to conditions existing with Mexico at that time the regiment was retained in Texas until February, 1866, when it was discharged, this regiment having the honor of being the last one discharged from the service, Returning then to Anderson, Mr. Mustard once more became associated with his father in the boot and shoe business, remaining with him until March, 1868. He was then given the appointment of deputy auditor under James M. Dickson, a position which he filled with credit to himself and with fidelity to the interests entrusted to his charge for two and a half years. On leaving the auditor’s office he was employed by Dr. Joseph Pugh, at that time treasurer of the County, as a clerk in his 0ffice, remaining there for a number of months, Later for six months he was employed in the recorder’s office, This was followed by service as deputy clerk under Thomas J. Fleming, On leaving the clerk’s office in 1871, Mr. Mustard took a position as bookkeeper in the First National Bank of Anderson, and in that way gained his first detailed experience of banking, He remained with the First National until August, 1873.
When Weems Heagy was elected to the office of County treasurer Mr. Mustard was again appointed deputy treasurer, and fulfilled the functions of that position while Mr. Heagy was treasurer, a period of four years, The fine business qualifications of the deputy treasurer, together with his long experience in that and other County offices and his thorough integrity both in public and private life, caused his many friends in the party and County to present his name for nomination in the office of County treasurer, They carried their point successfully, and he was nominated on the first ballot and in the election was chosen by a vote which was in the nature of the highest possible personal compliment, for he ran two hundred votes ahead of his ticket, His name was on the ticket that elected “Blue Jeans” Williams for governor of Indiana, in the memorable campaign of 1876, When his term of office expired Mr. Mustard was again placed in nomination by his party and re-elected by a majority of over nine hundred, He thus served two terms in that important office, and since then has been closely connected with the business affairs of Anderson.
Politically Mr. Mustard is a stalwart Democrat, and since arriving at the age of majority has been an ardent worker for the success of his party, He is an Odd Fellow, and has received all the honors that a subordinate lodge can bestow. He has been treasurer of Anderson Lodge, No, 131, and of Star Encampment, No, 84, for more than twenty-seven years.
## Inserted here: crystal structures
Entry 1:
This entry pairs a crystal structure of NaInCuCl6 with its simulated powder diffractogram. Radiation: a wavelength of 1.5418 Å. Structure: the PBE geometry in Alexandria.

Structure:
```
NaInCuCl6
1.0
6.448 0.000 0.000
-3.224 5.584 0.000
0.000 0.000 6.282
Na In Cu Cl
1 1 1 6
Cartesian
0.000 0.000 0.000
0.000 3.723 3.141
3.224 1.861 3.141
2.339 0.061 4.563
1.222 1.995 1.718
4.109 0.061 1.718
2.107 3.528 4.563
5.226 1.995 4.563
4.341 3.528 1.718
```

Peak list (12 most intense, 10° ≤ 2θ ≤ 80°, sorted by position)
Position (°2θ), I/Imax
14.10, 80
15.87, 45
21.29, 79
31.18, 100
35.17, 19
40.08, 90
45.33, 24
48.93, 39
51.19, 16
52.08, 27
65.03, 18
79.92, 14

Entry 2:
This entry pairs a crystal structure of InCu6ClO8 with its simulated powder diffractogram. Radiation: a wavelength of 1.5418 Å. Structure: the PBE geometry in Alexandria.

Structure:
```
InCu6ClO8
1.0
0.000 4.605 4.605
4.605 0.000 4.605
4.605 4.605 0.000
In Cu Cl O
1 6 1 8
Cartesian
0.000 0.000 0.000
2.302 2.302 0.000
2.302 0.000 2.302
4.605 2.302 2.302
0.000 2.302 2.302
2.302 4.605 2.302
2.302 2.302 4.605
4.605 4.605 4.605
1.315 1.315 1.315
3.290 3.290 1.315
3.290 1.315 3.290
7.895 5.919 5.919
1.315 3.290 3.290
5.919 7.895 5.919
5.919 5.919 7.895
7.895 7.895 7.895
```

Peak list (12 most intense, 10° ≤ 2θ ≤ 80°, sorted by position)
Position (°2θ), I/Imax
16.67, 23
32.24, 1
33.71, 100
39.12, 31
42.80, 10
43.97, 1
51.56, 1
56.52, 43
59.37, 3
67.45, 36
70.89, 8
73.42, 2

Entry 3:
This entry pairs a crystal structure of RbInCuCl6 with its simulated powder diffractogram. Radiation: a wavelength of 1.5418 Å. Structure: the PBE geometry in Alexandria.

Structure:
```
RbInCuCl6
1.0
6.442 0.000 0.000
-2.610 5.893 0.000
-0.428 -0.648 7.294
Rb In Cu Cl
1 1 1 6
Cartesian
0.000 0.000 0.000
3.061 1.739 3.647
-0.067 3.781 3.644
1.842 -0.267 4.853
0.975 2.327 2.194
1.679 3.408 5.100
3.690 0.090 1.937
4.823 1.828 5.357
4.400 3.667 2.442
```

Peak list (12 most intense, 10° ≤ 2θ ≤ 80°, sorted by position)
Position (°2θ), I/Imax
12.13, 100
18.54, 91
20.25, 76
20.46, 82
27.10, 33
27.87, 28
31.05, 40
33.59, 54
36.44, 31
38.30, 78
40.24, 24
46.38, 35

Entry 4:
This entry pairs a crystal structure of Tl2InCuCl6 with its simulated powder diffractogram. Radiation: a wavelength of 1.5418 Å. Structure: the PBE geometry in Alexandria.

Structure:
```
Tl2InCuCl6
1.0
7.713 0.000 0.000
0.000 9.191 0.000
0.000 0.000 8.031
Tl In Cu Cl
4 2 2 12
Cartesian
1.928 0.069 1.424
1.928 4.526 1.424
5.785 4.664 6.607
5.785 9.122 6.607
1.928 2.298 5.848
5.785 6.893 2.183
1.928 6.893 4.996
5.785 2.298 3.036
0.125 2.298 7.666
0.195 2.298 3.974
1.928 4.890 6.156
1.928 8.895 6.156
3.661 2.298 3.974
3.731 2.298 7.666
3.981 6.893 0.365
4.051 6.893 4.057
5.785 0.295 1.875
5.785 4.300 1.875
7.518 6.893 4.057
7.588 6.893 0.365
```

Peak list (12 most intense, 10° ≤ 2θ ≤ 80°, sorted by position)
Position (°2θ), I/Imax
22.29, 21
23.06, 40
25.00, 39
25.14, 100
29.54, 18
30.26, 27
32.18, 40
39.21, 25
41.78, 37
45.74, 27
47.10, 28
In 1871 Mr. Mustard was married, and h children (as he calls them), six in number are: Fred E. Mustard, his only son, and his wife Nelda and daughter Janet; Mrs. Ethel M. Cline, his only daughter, her husband, Frank C. Cline, and their daughter Adelaide Johana, all of whom live near his home in Anderson, and this is an exceptionally happy and devoted family.
Industrious to a fault, temperate at all times and under all circumstances, frugal and cautious in the disposition of his means, Daniel F. Mustard has for a number of years been honorably accumulating for himself and family a handsome competence. In his public as well as private relations with his fellow citizens it can be truthfully said that his honesty has never been questioned or brought into question, Strong in his attachments and quick to appreciate a generous act, he can appeal confidently to his generation and to those who have known him from childhood, in sunshine and shade, to say that he has not been ungrateful.